Dark Dawn Soda
== The article is interrupted by calculated molecules ==
- - -
DFT (wB97M-V/def2-TZVPD) results for a single C2H2O2S2 molecule.

Atoms and positions in Å:
C -0.87 0.27 -3.72
C -0.62 0.31 -0.02
O -3.44 0.38 -4.86
O -3.09 -0.02 -2.37
S -0.79 -0.32 -1.54
S -2.54 0.20 -3.72
H -0.71 -0.54 0.69
H -0.34 1.23 0.44

HOMO ... -9.59 eV
Calculated total energy ... -27864.360 eV
Energy relative to the best compared isomer or geometry (same formula, charge and spin) ... 699.1 kJ/mol
Strongest force on any atom ... 2.8 eV/A
Gap between HOMO and LUMO ... 8.001 eV

DFT (wB97M-V/def2-TZVPD) results for 2 unconnected molecules or ions with the total composition C10H22OSi.

Atoms and positions in Å:
C 0.45 -1.23 -1.12
C 0.07 -0.23 -0.41
C -2.88 0.57 -0.12
C -2.65 -1.97 0.10
C -2.00 -0.45 2.06
C 2.06 2.19 -1.29
C 2.83 0.23 0.88
C 0.52 2.16 1.55
C 1.76 -1.55 -1.72
C -2.19 -0.59 0.57
O 1.75 -1.82 -3.12
Si 1.27 1.13 0.17
H -0.32 -1.87 -1.31
H -2.45 0.65 -1.11
H -3.95 0.50 -0.15
H -2.55 1.47 0.28
H -3.03 -1.80 -0.92
H -3.42 -2.52 0.69
H -1.80 -2.60 0.13
H -2.82 -1.00 2.52
H -2.26 0.55 2.36
H -0.98 -0.60 2.50
H 2.97 2.72 -1.01
H 2.36 1.51 -2.09
H 1.33 2.82 -1.63
H 3.57 0.13 0.11
H 3.29 0.76 1.66
H 2.45 -0.72 1.11
H -0.50 2.37 1.37
H 0.48 1.56 2.46
H 0.91 3.18 1.57
H 2.11 -2.31 -1.10
H 2.44 -0.66 -1.67
H 1.18 -2.58 -3.32

HOMO (alpha / beta) ... -7.78 / -7.75 eV
Calculated total energy ... -20647.717 eV
Energy relative to the best compared isomer or geometry (same formula, charge and spin) ... 206.0 kJ/mol
Strongest force on any atom ... 3.5 eV/A
Gap between HOMO and LUMO (alpha / beta) ... 8.179 / 8.128 eV

DFT (wB97M-V/def2-TZVPD) results for 2 unconnected molecules or ions with the total composition C6H13NO.

Atoms and positions in Å:
C 0.03 -1.63 -0.82
O 0.69 -2.59 -0.04
C -0.68 -2.30 -1.89
C -1.89 -1.89 -2.46
H 0.78 -0.98 -1.32
H -0.61 -0.96 -0.22
H 0.89 -2.21 0.82
H -0.22 -3.23 -2.22
H -2.32 -2.43 -3.28
H -2.43 -1.04 -2.07
C 2.06 1.96 1.74
C 0.75 2.08 0.98
C -1.38 1.13 0.98
N -0.25 1.15 1.53
H 2.80 2.68 1.38
H 1.89 2.15 2.79
H 2.47 0.96 1.65
H 0.89 1.85 -0.09
H 0.34 3.09 1.03
H -1.66 1.75 0.12
H -2.14 0.46 1.39

HOMO (alpha / beta) ... -13.04 / -13.04 eV
Calculated total energy ... -9958.915 eV
Net charge ... +1
Spin multiplicity ... 2
Energy relative to the best compared isomer or geometry (same formula, charge and spin) ... 332.3 kJ/mol
Strongest force on any atom ... 1.2 eV/A
Gap between HOMO and LUMO (alpha / beta) ... 7.832 / 3.763 eV

DFT (wB97M-V/def2-TZVPD) results for a molecular structure, C45H56AsN4O2SnTe.

Atoms and positions in Å:
Sn -0.15 1.14 -0.81
C 0.42 7.29 2.26
C 1.37 7.41 1.10
C 2.23 8.50 0.99
C 3.11 8.61 -0.08
C 3.13 7.65 -1.07
C 2.27 6.56 -0.99
C 1.41 6.44 0.10
N 0.51 5.34 0.21
C 0.74 4.05 -0.08
N 2.04 3.70 -0.17
C 2.69 2.50 -0.54
C 2.02 1.35 -0.93
C 2.76 0.25 -1.36
C 4.14 0.27 -1.35
C 4.79 1.42 -0.91
C 4.09 2.54 -0.52
C 4.83 3.78 -0.08
N -0.28 3.20 -0.18
C -1.59 3.77 -0.03
C -2.16 3.79 1.24
C -3.41 4.36 1.43
C -4.09 4.90 0.35
C -3.51 4.87 -0.92
C -2.25 4.32 -1.13
C -1.63 4.32 -2.50
H 0.56 8.11 2.96
- - -
== The calculated molecules stop here ==
Le Blanc is fun loving, blunt, action oriented and perverse, she's mostly fearless and is not one to back down from a challenge. She does not associate to either male or female, leaning towards female when need be. she does not distinguish male or female and has no sexual preference between the two, she does not shy away from play outside of her species, although mates her size are a plus, if push comes to shove, her titans are always fully loaded...
Her immense strength permits her to lift over 300 pounds above her head and her dwarven resilience permits her to resist crashing blunt weapons or the stomping feet of monsters... she's not one to be crushed in bed... piecing and slashing attacks cut her however... her modified internal organs grant her near endless stamina, held breath for over and hour, night vision, thermal vision, limited invisibility, temporary hemorrhage cease flow, near invulnerability to poisons, adrenaline dosses on command, can go several days without sleep depression...
flutterkin can sex change at will, although she is one to change her gender frequently, she prefers the cock for it's advantages. flutterkin can inflate like a balloon to then rapidly deflate to travel great distances, or float around as a balloon guiding their flight with their feathery tails. flutterkin's bones are rubbery and can dislocate universally like a rat, permitting them to slip into tight spots and land harmlessly from rapid deflations, being decendents of fairies, flutterkin have a strong resistance to the elements: being fire, ice, acid and electricity, they do feel these elements, although less than a human would, but they suffer notably less damage form them...
Misplaced records of molecules:
- - -
Record 1
Density functional theory data (ωB97M-V with the def2-TZVPD basis set) for a cluster of 3 separate species, C2H7OS2 in total.

Properties
Lowest unoccupied orbital energy (eV): 3.75
E_tot (Ha): -951.9721
Energy relative to the best compared isomer or geometry (same formula, charge and spin) (kcal/mol): 55.7
Highest occupied orbital energy (eV): -2.47

```
! wB97M-V def2-TZVPD RIJCOSX def2/J DEFGRID3
* xyz -1 1
C 1.98749 0.20923 -0.71895
O 2.71273 1.07674 -1.31542
H 1.79024 -0.89294 -1.10308
H 3.42989 -2.93021 0.40904
H 1.27856 0.53548 0.02706
C -1.34120 1.25833 -0.96345
S -1.10097 0.58439 0.80282
S -0.87937 -1.50229 0.76493
H -0.35861 1.69191 -1.10761
H -1.50038 0.34272 -1.63222
H -2.28821 1.77341 -0.91418
H 3.75429 -3.25319 -0.14534
*
```

=====

Record 2
Density functional theory data (ωB97M-V with the def2-TZVPD basis set) for the molecule C7H8.

Properties
Lowest unoccupied orbital energy (eV): 0.83
E_tot (Ha): -271.3589
Energy relative to the best compared isomer or geometry (same formula, charge and spin) (kcal/mol): 108.3
Highest occupied orbital energy (eV): -10.05

```
! wB97M-V def2-TZVPD RIJCOSX def2/J DEFGRID3
* xyz 0 1
C 0.10848 2.44211 -0.67849
C 0.06685 1.26994 -0.40454
C 0.00903 -0.16718 -0.04141
C -1.17269 -0.84921 -0.73867
C 1.35070 -0.84980 -0.32720
C -0.22401 -0.17508 1.39375
C -0.41791 -0.00966 2.57634
H 0.14250 3.48381 -0.91699
H -2.11021 -0.36577 -0.44801
H -1.21227 -1.89750 -0.42770
H -1.05259 -0.78796 -1.82149
H 1.57966 -0.79080 -1.39237
H 2.14691 -0.36466 0.24522
H 1.28947 -1.89724 -0.01697
H -0.50392 0.95900 2.99852
*
```

=====

Record 3
Density functional theory data (ωB97M-V with the def2-TZVPD basis set) for a structure of composition C25H27AsBrFO2PtS.

Properties
Lowest unoccupied orbital energy (alpha / beta) (eV): 3.00 / 3.00
E_tot (Ha): -6546.4738
Energy relative to the best compared isomer or geometry (same formula, charge and spin) (kcal/mol): 70.6
Highest occupied orbital energy (alpha / beta) (eV): -1.00 / -1.00

```
! wB97M-V def2-TZVPD RIJCOSX def2/J DEFGRID3
* xyz -2 1
Pt 0.19186 -0.00585 -1.10319
O 1.48183 2.86259 1.77734
C 1.17892 2.47279 0.64177
O 1.26196 1.26610 0.27566
C 0.70321 3.54257 -0.32710
C 1.28648 4.79574 -0.17966
C 0.88893 5.88438 -0.93014
C -0.13340 5.73051 -1.85571
C -0.72078 4.49790 -2.02440
C -0.32124 3.38161 -1.27481
S -1.25301 1.93672 -1.55729
H 2.06037 4.89476 0.56928
H 1.35896 6.84934 -0.78849
H -0.47682 6.57694 -2.44167
H -1.52615 4.36038 -2.73426
Br 6.45911 -3.79176 -2.88583
C 4.21964 -2.33501 -2.24930
C 3.61879 -1.55261 -3.19970
C 2.41344 -0.91294 -2.89992
C 1.81758 -1.08220 -1.66261
C 2.43517 -1.88767 -0.72060
C 3.65637 -2.50379 -1.01095
H 4.06564 -1.41106 -4.17535
H 1.95631 -0.27872 -3.65338
H 1.98726 -2.03579 0.26077
H 4.14170 -3.09547 -0.24540
C -1.56158 -3.18110 2.74440
C -1.82415 -1.69121 2.87649
As -0.54145 -0.55267 1.79949
C 1.09856 -0.74689 2.90503
C 0.97932 -0.53733 4.40669
C -1.23295 1.14577 2.55039
C -2.49706 1.61883 1.84388
H -2.27431 -3.76762 3.33091
- - -
Le Blanc is mildly obsessed with tattoos and piercings. Flutterkin naturally recover extremely well, leaving no scars. making her hobbies more of an on going thing... piercing holes fill in over weeks and tattoos fade over months. she constantly re-inks and re-pierces, which lead to her obsession, she does how ever keep them mild most of the time...
Her augmented liver makes alcohol intoxication difficult as it filters out poison extremely well. And rather than not being drunk her solution is to drink more. often if possible by imbibing large quantities of alcohol via enema often wile bathing in said booze.
Le Blanc sports a bizarre bio slime instead of traditional underwear. this slime is in fact a living creature, though it is non sentient and incapable of thought, it does writhe and cling reflexively. the slime, known as "biowear", sticks to skin and it's self only, it is scooped and peeled of or dried with sand and scratched away when removed. it is edible and tastes like exotic unknown fruit, however it offers little in the way of sustenance... Le Blanc swears by biowear, wearing nothing less under her suit, claiming it offers better mobility, less chaffing, extremely hygienic, remarkable comfort, unparalleled formfitting (being a fluid), and mild arousal... biowear is manufactured via alchemy and feeds off of bodily fluids such as sweat... Le Blanc is naturally a brunet, thought she constantly dyes her hair, typically white. Her hair never grew on the left side of her head...
So for artists wanting to use this character... not saying who... just if anyone wants to... she's super strong, can't be crushed, prone to fucking who ever and always at least curious about the latest fetish, never gets tired, is either male or female as you see fit, capable of inflation fetish if that's you thing, fey resistance permits fun with fire, ice, acids and shocks, unnaturally flexible, her tattoos, although mandatory, can be what ever the artist see's fit, her piercings, although mandatory, can be what ever the artist see's fit, likes to be drunk, however this requires quite the dosage...
Le Blanc might seem a bit op... and she is to be honest. but she is a war hero after all... she's not exactly marry sue, being arrogant and self centered, aside from play she's hard to motivate and harder to get compliance, she'll often fight against something in the name of laziness, to the point of mediating the laziness to begin with... "I will work all night! ALL NIGHT! I will fight tooth and nail for the right to do absolutely nothing but jack off all day!! Fuck you! I'm gonna go tune my ride..."